Bento Systems: How we got started

Ricky Voltz
Bento Systems
Published in
3 min readJun 18, 2018

Operations 101

I started working in Operations about 8 years ago. It was a brand new non-profit in the Nashville, TN area, and I was their third hire. Let’s get to work!

I was young and wicked nervous. This was my first contract like this and they were taking a chance on me. There were growing pains for sure, but it was exciting. I was helping build a system to track orders of books. At first we used spreadsheets, then quickly moved to shared spreadsheets. It worked for a bit until we decided to allow orders to come directly through the website.

Wufoo to the rescue!

If you don’t know anything about Wufoo ( please check them out. Very cool product if you don’t code and need to build a complicated form (I’m not affiliated with them in any way, just a really good product.).

So I built a form in Wufoo to start taking the orders, and it worked! So now we had this online system to view our orders in real time. We could comment on them and do some basic reporting. It worked for us for a little while until other business pressures caused a change in our order processing procedures. We needed to spend a little more time with each order and hired a small team to facilitate that. They needed a system to process these orders and unfortunately, Wufoo just wasn’t enough anymore.

Is that a skyscraper? No just a Highrise.

Highrise is another cool product. It’s a CRM that has some basic deal management features. It also has a really nice tagging feature. Like Wufoo, I’m not affiliated with them, but definitely a cool product.

• Materials data from another source follow:
/*
No. 1
! ErInAu (PBE, relaxed); values from VASP
! Energy of formation from the pure elements (eV/atom): -0.620
! Mass density (g/cm³): 11.44
! Energy (eV for the cell shown): -24.9
! Symmetry: C2/c
&SYSTEM
  ibrav = 0, nat = 6, ntyp = 3
/
ATOMIC_SPECIES
In 114.82 In.upf
Er 167.26 Er.upf
Au 196.97 Au.upf
CELL_PARAMETERS angstrom
4.599 1.570 -1.019
3.071 6.012 -1.138
-2.720 -3.257 6.910
ATOMIC_POSITIONS crystal
In 0.527 0.413 0.392
In 0.852 0.238 0.041
Er 0.550 0.936 0.438
Er 0.829 0.715 0.995
Au 0.203 0.588 0.743
Au 0.176 0.063 0.691

***

No. 2
! NaSrEuAg (PBE, relaxed); values from VASP
! Energy of formation from the pure elements (eV/atom): -0.054
! Mass density (g/cm³): 4.53
! Energy (eV for the cell shown): -16.3
! Symmetry: F-43m
&SYSTEM
  ibrav = 0, nat = 4, ntyp = 4
/
ATOMIC_SPECIES
Ag 107.87 Ag.upf
Eu 151.96 Eu.upf
Na 22.99 Na.upf
Sr 87.62 Sr.upf
CELL_PARAMETERS angstrom
-5.554 0.425 -1.508
-4.081 -2.367 3.323
-3.564 3.373 3.036
ATOMIC_POSITIONS crystal
Ag 0.250 0.250 0.250
Eu 0.000 0.000 0.000
Na 0.750 0.750 0.750
Sr 0.500 0.500 0.500

***

No. 3
! SrNi2SbI (PBE, relaxed); values from VASP
! Uncorrected formation energy (meV/atom): -34
! Mass density (g/cm³): 4.86
! Energy (eV for the cell shown): -19.1
! Symmetry: P4/mmm
&SYSTEM
  ibrav = 0, nat = 5, ntyp = 4
/
ATOMIC_SPECIES
Sb 121.76 Sb.upf
I 126.90 I.upf
Ni 58.69 Ni.upf
Sr 87.62 Sr.upf
CELL_PARAMETERS angstrom
-4.601 0.953 -1.028
1.095 -1.625 -6.405
-1.161 -4.568 0.960
ATOMIC_POSITIONS crystal
Sb 0.000 0.000 0.000
I 0.500 0.500 0.500
Ni 0.500 0.000 0.000
Ni 0.000 0.000 0.500
Sr 0.000 0.500 0.000

***

No. 4
! BeAlO3 (PBE, relaxed); values from VASP
! Uncorrected formation energy (meV/atom): -2318
! Mass density (g/cm³): 3.29
! Energy (eV for the cell shown): -67.9
! Symmetry: R-3c
&SYSTEM
  ibrav = 0, nat = 10, ntyp = 3
/
ATOMIC_SPECIES
Al 26.98 Al.upf
Be 9.01 Be.upf
O 16.00 O.upf
CELL_PARAMETERS angstrom
-2.191 4.142 -0.544
-1.819 2.215 3.746
2.477 4.216 1.679
ATOMIC_POSITIONS crystal
Al 0.000 0.000 0.000
Al 0.500 0.500 0.500
Be 0.250 0.250 0.250
Be 0.750 0.750 0.750
O 0.750 0.081 0.750
O 0.581 0.250 0.250
O 0.919 0.581 0.250
O 0.419 0.750 0.750
O 0.250 0.919 0.250
O 0.081 0.419 0.750

***

No. 5
! Sr3PuBr2O6 (PBE, relaxed); values from VASP
! Uncorrected formation energy (meV/atom): -2249
! Mass density (g/cm³): 4.85
! Energy (eV for the cell shown): -79.5
! Symmetry: C2/m
&SYSTEM
  ibrav = 0, nat = 12, ntyp = 4
/
ATOMIC_SPECIES
O 16.00 O.upf
Sr 87.62 Sr.upf
Br 79.90 Br.upf
Pu 244.00 Pu.upf
CELL_PARAMETERS angstrom
-3.232 -2.561 4.070
5.718 -3.262 2.488
-2.170 6.240 3.215
ATOMIC_POSITIONS crystal
O 0.687 0.266 0.108
O 0.687 0.842 0.108
O 0.652 0.855 0.710
O 0.313 0.158 0.892
O 0.313 0.734 0.892
O 0.348 0.145 0.290
Sr 0.500 0.000 0.500
Sr 0.500 0.500 0.500
Sr 0.000 0.500 0.000
Br 0.900 0.284 0.568
Br 0.100 0.716 0.432
Pu 0.500 0.000 0.000

***

No. 6
! Ba2ZnPtO4 (PBE, relaxed); values from VASP
! Uncorrected formation energy (meV/atom): -1489
! Mass density (g/cm³): 5.64
*/

So we started a Highrise account and through an integration, linked Wufoo to Highrise. We had to do this because Wufoo’s primary offering was still valuable to us, the form builder. It was the CRM functions that were lacking. Highrise filled some of those gaps. I say some because the integration never functioned exactly the way we needed it to. That caused some messy data entries in Highrise. Highrise didn’t really do everything we needed it to either. Producing total order value reports was tricker than it should have been. Most of that data was still in Wufoo, but some additional data was now in Highrise. Highrise wasn’t really built for ‘orders’ as much as it was for sales ‘deals.’

So we needed a new solution. All along the way I had been developing my coding skills, also with other clients and projects I had going on. By this time, building a custom solution was a feasible idea, so that’s what we did.

The custom era

Building customers solutions started out okay. We gave up a lot in polish and additional feature sets to bring everything in house. On the flip side, we gained a lot in control of the data. It was much easier to build accurate reports and dashboards, and integrating with third party services resulted in much more clean data.

I was the sole developer working on the project and still fairly green to a project of this size. It was hard but I learned a lot from it. Building dashboards that worked with third party APIs was relatively easy. Building an actual CRM system was not. I learned a few things through that experience. Building a solution that solves real life problems was fun, and I knew that if I could refine my craft, I would be able to build a system and turn it into a business.


Honestly that’s it. That’s how Bento Systems was born. Just a simple idea to bring all of the different software required to run a modern-day small business, under one roof … one platform.

Now, the idea itself is simple enough, sure, but the implementation is a little more tricky. Through our company, Voltz Software, my brother and I have developed an application platform that we call Pagoda. This framework is what powers Bento Systems. It’s built to scale and makes it super easy for our team to add new features. The Pagoda framework is what allows us to offer Bento Systems at a price that makes sense for small businesses. And that is our goal, to put powerful software in the hands of small businesses at a price that is reasonable.



Ricky Voltz
Bento Systems

Dad of two and owner of Voltz.Software and Bento.Systems. I love building software and I love building businesses.